
“The X-Men have gone woke!!!” might be the only thing that can beat claims that “Star Trek has gone woke!!!” in terms of sheer insanity.

You know that these are genuinely good because you can immediately recognise all of them without even reading any associated text, even totally bizarre ones, like Tobey McGuire from Spider-Man 3 specifically! And Leon looks like Leon specifically, not a generic blonde white guy! Lae’zel was good enough that it took me

Which specific players and what specifically did they say? I’m not seeing any evidence that’s true, but maybe you really know more and can thus link and show what happened? Otherwise I assume you’re making this up, because this response doesn’t sound like one that would result from players “being shits to a dev”,

Oh for sure re: loud minorities of gamers, but with whining you’re at least getting information, that you can choose to act on or not, at your discretion - and to be real, I’ve been playing games online since 1996 (or even a little earlier), and it’s very, very rare that there’s “no smoke without fire”. Often there’s

Players being whiny is at least useful to you as a dev, even if it’s quite annoying. As entitled as they are, players don’t suddenly switch from “I‘m having a good time!” to whining for no reason. So whilst they may misidentify the cause of their whining, there will be a reason.

Here the article breaks off for calculated crystals >
/*
# 1
Starting from the PBE geometry in the Materials Project, the powder diffractogram of Zr2V6Sb9 was calculated for Cu Ka.
Neutral-atom scattering factors, no anomalous dispersion.

Cell and atoms:
Unit cell a=9.7666 b=9.7666 c=7.2415 alpha=90.00 beta=90.00 gamma=90.00
Space group P4/nmm (No. 129, origin choice 2)
Inequivalent atoms, fractional coordinates:
Zr  0.2500  0.2500  0.0853
Zr  0.2500  0.2500  0.5870
V  0.0000  0.0000  0.0000
V  0.1111  0.7500  0.8407
Sb  0.0019  0.2500  0.8173
Sb  0.0773  0.0773  0.3469
Sb  0.2500  0.7500  0.5000

Main lines, in order of rising 2θ (10° ≤ 2θ ≤ 90°):
hkl 3 0 1, 2θ = 30.10°, intensity 60; hkl 2 1 2, 2θ = 32.11°, intensity 76; hkl 3 2 1, 2θ = 35.38°, intensity 100; hkl 2 2 2, 2θ = 35.94°, intensity 65; hkl 4 0 0, 2θ = 36.81°, intensity 45; hkl 3 0 2, 2θ = 37.14°, intensity 63; hkl 4 1 1, 2θ = 40.05°, intensity 49; hkl 2 0 3, 2θ = 41.74°, intensity 38; hkl 2 2 3, 2θ = 45.87°, intensity 37; hkl 6 3 2, 2θ = 69.60°, intensity 43

# 2
Starting from the PBE geometry in the Materials Project, the powder diffractogram of TbPaO4 was calculated for Cu Ka.
Neutral-atom scattering factors, no anomalous dispersion.

Cell and atoms:
Unit cell a=3.8162 b=3.8162 c=5.4158 alpha=90.00 beta=90.00 gamma=90.00
Space group P4/mmm (No. 123)
Inequivalent atoms, fractional coordinates:
Tb  0.0000  0.0000  0.0000
Pa  0.5000  0.5000  0.5000
O  0.0000  0.5000  0.2612

Main lines, in order of rising 2θ (10° ≤ 2θ ≤ 90°):
hkl 1 0 1, 2θ = 28.61°, intensity 100; hkl 0 0 2, 2θ = 33.08°, intensity 12; hkl 1 1 0, 2θ = 33.20°, intensity 23; hkl 2 0 0, 2θ = 47.60°, intensity 51; hkl 1 0 3, 2θ = 56.38°, intensity 15; hkl 2 1 1, 2θ = 56.54°, intensity 31; hkl 2 0 2, 2θ = 59.24°, intensity 10; hkl 2 1 3, 2θ = 76.87°, intensity 13; hkl 2 2 2, 2θ = 79.37°, intensity 9; hkl 3 1 2, 2θ = 88.75°, intensity 11

# 3
Starting from the PBE geometry in the Materials Project, the powder diffractogram of Cs2PO3F was calculated for Cu Ka.
Neutral-atom scattering factors, no anomalous dispersion.

Cell and atoms:
Unit cell a=8.5055 b=6.4723 c=11.2068 alpha=90.00 beta=90.00 gamma=90.00
Space group Pnma (No. 62)
Inequivalent atoms, fractional coordinates:
Cs  0.0007  0.2500  0.2144
Cs  0.1753  0.2500  0.5822
P  0.2475  0.2500  0.9165
O  0.2007  0.7500  0.5469
O  0.2186  0.5508  0.3487
F  0.0500  0.2500  0.9261

Main lines, in order of rising 2θ (10° ≤ 2θ ≤ 90°):
hkl 1 1 2, 2θ = 23.46°, intensity 20; hkl 2 1 0, 2θ = 25.05°, intensity 12; hkl 2 1 1, 2θ = 26.31°, intensity 84; hkl 0 2 0, 2θ = 27.57°, intensity 100; hkl 3 0 1, 2θ = 32.58°, intensity 16; hkl 1 0 4, 2θ = 33.68°, intensity 16; hkl 2 2 2, 2θ = 38.47°, intensity 29; hkl 3 1 4, 2θ = 47.75°, intensity 16; hkl 2 3 1, 2θ = 47.98°, intensity 14; hkl 0 3 3, 2θ = 48.74°, intensity 14

=====

No. 1
This entry pairs a crystal structure of Ca4MnFe3O10 with its simulated PXRD pattern. Radiation: copper Kα. Structure: a cell relaxed with PBE+U.

Peak list (10 most intense, 2θ = 5–70°, low angle first)
*/

That’s not what happened though. This isn’t some harassed dev snapping. This is a couple of Reddit-tier smug twats deciding telling random people to “git gud” was cool AF. They weren't the lead designers or the like. People harassing devs deserve what they get. But whining because the game got drastically harder isn't

I think there’s a pretty big difference between people literally harassing the developer of a game by sending him horrible images and so on, and random devs (not even the lead ones) deciding to get into childish squabbles with the community.

Your entire argument is based on a very stupid assumption.

That’s largely right. People get used to X difficulty meaning something, and so if you change what it means, people dislike it, especially if the change is huge, as it was here. This is the equivalent of “normal” becoming “very hard”, as it were.

Devs likely damaged the long term popularity and success of their multiplayer game. If they kept doing it it they definitely would have. So yeah from the perspective of their business they 100% did something wrong. That’s why their boss was mad.

Here the text breaks off for materials data:
┌──
(1)
Computed PXRD pattern of Li3Ag for copper Kα, from a GGA-PBE-relaxed structure.

Structural model:
```
Li3Ag
1.0
5.815 0.000 0.000
-2.907 5.036 0.000
0.000 0.000 4.704
Li Ag
6 2
direct
0.171 0.342 0.250
0.171 0.829 0.250
0.342 0.171 0.750
0.658 0.829 0.250
0.829 0.171 0.750
0.829 0.658 0.750
0.333 0.667 0.750
0.667 0.333 0.250
```

The 8 most intense peaks (2θ from 15° to 90°), low angle first:
Position (°2θ)  I_rel
17.61  43
25.92  100
30.75  43
38.27  11
40.64  42
49.87  21
51.82  29
70.31  11


(2)
Computed PXRD pattern of Si for copper Kα, from a GGA-PBE-relaxed structure.

Structural model:
```
Si
1.0
8.406 -6.441 0.000
8.406 6.441 0.000
0.000 0.000 10.034
Si
46
direct
0.051 0.301 0.627
0.051 0.301 0.873
0.079 0.921 0.631
0.079 0.921 0.869
0.101 0.101 0.000
0.101 0.101 0.500
0.168 0.594 0.059
0.168 0.594 0.441
0.226 0.389 0.559
0.226 0.389 0.941
0.252 0.748 0.561
0.252 0.748 0.939
0.301 0.051 0.127
0.301 0.051 0.373
0.301 0.558 0.250
0.340 0.428 0.750
0.356 0.644 0.750
0.389 0.226 0.059
0.389 0.226 0.441
0.406 0.832 0.059
0.406 0.832 0.441
0.428 0.340 0.250
0.442 0.699 0.250
0.558 0.301 0.750
0.572 0.660 0.750
0.594 0.168 0.559
0.594 0.168 0.941
0.611 0.774 0.559
0.611 0.774 0.941
0.644 0.356 0.250
0.660 0.572 0.250
0.699 0.442 0.750
0.699 0.949 0.627
0.699 0.949 0.873
0.748 0.252 0.061
0.748 0.252 0.439
0.774 0.611 0.059
0.774 0.611 0.441
0.832 0.406 0.559
0.832 0.406 0.941
0.899 0.899 0.000
0.899 0.899 0.500
0.921 0.079 0.131
0.921 0.079 0.369
0.949 0.699 0.127
0.949 0.699 0.373
```

The 8 most intense peaks (2θ from 15° to 90°), low angle first:
Position (°2θ)  I_rel
17.30  21
19.45  100
19.71  34
31.95  46
32.81  28
52.45  26
52.95  24
53.43  26


(3)
Computed PXRD pattern of InHSeO4 for copper Kα, from a GGA-PBE-relaxed structure.

Structural model:
```
InHSeO4
1.0
5.782 0.000 0.000
0.992 8.129 0.000
1.511 0.161 8.162
In H Se O
4 4 4 16
direct
0.103 0.023 0.187
0.310 0.687 0.485
0.690 0.313 0.515
0.897 0.977 0.813
0.151 0.239 0.393
0.494 0.075 0.698
0.506 0.925 0.302
0.849 0.761 0.607
0.103 0.356 0.764
0.429 0.731 0.880
0.571 0.269 0.120
0.897 0.644 0.236
0.004 0.216 0.359
0.149 0.153 0.706
0.152 0.569 0.304
0.166 0.865 0.961
0.328 0.436 0.614
0.351 0.885 0.314
0.358 0.183 0.048
0.475 0.787 0.676
0.525 0.213 0.324
0.642 0.817 0.952
0.649 0.115 0.686
0.672 0.564 0.386
0.834 0.135 0.039
0.848 0.431 0.696
0.851 0.847 0.294
0.996 0.784 0.641
```

The 8 most intense peaks (2θ from 15° to 90°), low angle first:
Position (°2θ)  I_rel
15.23  29
18.06  43
24.18  100
27.83  48
28.51  30
29.04  60
31.50  28
34.83  28


(4)
Computed PXRD pattern of CeP2N2O9 for copper Kα, from a GGA-PBE-relaxed structure.

Structural model:
```
CeP2N2O9
1.0
-3.426 3.426 9.455
3.426 -3.426 9.455
3.426 3.426 -9.455
Ce P N O
2 4 4 18
direct
0.375 0.625 0.750
0.625 0.375 0.250
0.197 0.447 0.750
0.447 0.197 0.250
0.553 0.803 0.750
0.803 0.553 0.250
0.000 0.000 0.000
0.000 0.000 0.500
0.000 0.500 0.000
0.500 0.000 0.500
0.032 0.600 0.431
0.125 0.875 0.250
└──

The problem here is that it’s a multiplayer game with a community.

The problem you’re ignoring here is that AA and AAA games are not the singular vision of an individual nor of a small team even, and the people on the team often have wildly varying takes about their own game. Takes which may particularly be at odds with the lead designers of the game. So if random Devs decide to “go

“That is quite literally science fiction. Apparently a genre of it you don’t like.”

None of the people who complained about MJ’s face in the Spider-Man games are pro-diversity, dude. They’re the same exact chuds who want every single female character to have long hair, delicate features, big boobs, be skinny, and have a tiny waist.

Sadly a very different kind of goon cave, I miss those guys, grew up listening to them, still think of them and Round the Horne often.

“A lot of new writers have gotten their toes wet by writing in this kind of genre.”

### Misplaced calculated crystals
********
1.
Calculated powder diffraction line list of Ba5Zn for Cu Kα (λ = 1.5418 Å), from a DFT-relaxed cell (PBE, Alexandria).
Peak positions follow from Bragg's law for the DFT cell and can differ from measured ones.

Most intense lines, 5° ≤ 2θ ≤ 70°, in order of rising 2θ:
- 23.2°, rel. 41, hkl 1 0 2
- 25.3°, rel. 28, hkl 0 0 5
- 25.8°, rel. 100, hkl 1 0 3
- 29.6°, rel. 61, hkl 1 1 0
- 39.3°, rel. 34, hkl 1 1 5
- 42.3°, rel. 23, hkl 2 0 0
- 46.4°, rel. 17, hkl 1 0 8
- 50.0°, rel. 17, hkl 2 0 5
- 50.3°, rel. 32, hkl 2 1 3
- 60.9°, rel. 19, hkl 1 1 10

```
data_Ba5Zn
_cell_length_a 4.2685
_cell_length_b 4.2685
_cell_length_c 17.6170
_cell_angle_alpha 90.00
_cell_angle_beta 90.00
_cell_angle_gamma 90.00
_symmetry_space_group_name_H-M 'P 4/m m m'
_symmetry_Int_Tables_number 123
_symmetry_space_group_name_Hall '-P 4 2'
loop_
_atom_site_label
_atom_site_type_symbol
_atom_site_fract_x
_atom_site_fract_y
_atom_site_fract_z
Ba1 Ba 0.0000 0.0000 0.0000
Ba2 Ba 0.0000 0.0000 0.3911
Ba3 Ba 0.5000 0.5000 0.1932
Zn1 Zn 0.5000 0.5000 0.5000
```

=====

2.
Calculated powder diffraction line list of KAgRuCl6 for Cu Kα (λ = 1.5418 Å), from a DFT-relaxed cell (PBE, Alexandria).
Peak positions follow from Bragg's law for the DFT cell and can differ from measured ones.

Most intense lines, 5° ≤ 2θ ≤ 70°, in order of rising 2θ:
- 13.3°, rel. 99, hkl 0 0 1
- 15.1°, rel. 37, hkl 1 0 0
- 20.2°, rel. 100, hkl 1 0 1
- 26.3°, rel. 26, hkl 1 1 0
- 29.6°, rel. 74, hkl 2 -1 1
- 33.4°, rel. 20, hkl 2 0 1
- 37.9°, rel. 93, hkl 2 -1 2
- 43.0°, rel. 31, hkl 3 -1 1
- 46.4°, rel. 34, hkl 3 0 0
- 49.1°, rel. 25, hkl 1 1 3

```
data_KAgRuCl6
_cell_length_a 6.7789
_cell_length_b 6.7789
_cell_length_c 6.6494
_cell_angle_alpha 90.00
_cell_angle_beta 90.00
_cell_angle_gamma 120.00
_symmetry_space_group_name_H-M 'P 3 1 2'
_symmetry_Int_Tables_number 149
loop_
_symmetry_equiv_pos_as_xyz
'x,y,z'
'-y,x-y,z'
'-x+y,-x,z'
'-y,-x,-z'
'-x+y,y,-z'
'x,x-y,-z'
loop_
_atom_site_label
_atom_site_type_symbol
_atom_site_fract_x
_atom_site_fract_y
_atom_site_fract_z
K1 K 0.0000 0.0000 0.0000
Ag1 Ag 0.3333 0.6667 0.5000
Ru1 Ru 0.6667 0.3333 0.5000
Cl1 Cl 0.3892 0.0424 0.7029
```

=====

3.
Calculated powder diffraction line list of Dy2Ho6Al for Cu Kα (λ = 1.5418 Å), from a DFT-relaxed cell (PBE, Alexandria).
Peak positions follow from Bragg's law for the DFT cell and can differ from measured ones.

Most intense lines, 5° ≤ 2θ ≤ 70°, in order of rising 2θ:
- 26.2°, rel. 12, hkl 2 1 1
- 31.2°, rel. 27, hkl 0 3 1
- 32.1°, rel. 100, hkl 3 0 1
- 32.6°, rel. 68, hkl 1 3 1
- 33.3°, rel. 14, hkl 3 1 1
- 33.6°, rel. 41, hkl 0 0 2
- 38.2°, rel. 12, hkl 3 3 0
- 47.1°, rel. 23, hkl 2 3 2
- 51.8°, rel. 12, hkl 3 3 2
- 59.1°, rel. 16, hkl 3 0 3

```
data_Dy2Ho6Al
_cell_length_a 9.8174
_cell_length_b 10.1803
_cell_length_c 5.3330
_cell_angle_alpha 90.00
_cell_angle_beta 90.00
_cell_angle_gamma 90.00
_symmetry_space_group_name_H-M 'P n n m'
_symmetry_Int_Tables_number 58
loop_
_symmetry_equiv_pos_as_xyz
'x,y,z'
'-x,-y,-z'
********

You’re presenting a purely 21st-century Protestant evangelical view on Christianity and Christ’s words, whether you understand you are or not. You’re absolutely delusional when calling other people “moderns”. You’re also confusing evangelist views and Christian Nationalist views. Not every evangelist is a Christian

Yeah and that’s what so bizarre in the context of Shepard. You spent the whole of three games arguing with people’s viewpoints and calling them on their bullshit. Even in ME3 Tuchanka and Rannoch are absolutely 100% about doing that. Hell, just minutes earlier you are refusing to take TIM at his word!

The actual ending basically asks that you accept the rationale and dilemma at face value.”

Yeah it’s a sad old tale, but never ceases to creep me out.